[Assignment]
Print the lines below from the one with "1.3 -1.1" to the one with "3.080 0.1" character by character.

[Given]
# C3H8IN2OP

A structure of composition C3H8IN2OP at a distorted geometry (wB97M-V/def2-TZVPD, OMol25).

Geometry as XYZ:
```
16
Properties=species:S:1:pos:R:3:forces:R:3
C -0.975 -0.748 0.568 4.9 0.7 -1.2
C 1.796 -1.001 0.670 -2.1 -0.5 -0.9
C -1.154 1.656 0.141 2.8 0.8 -0.9
N 0.871 -0.117 -0.005 -1.4 -0.3 3.1
N -1.535 0.331 0.381 -5.9 1.8 0.5
O -1.117 -1.884 0.656 -0.4 -3.1 1.0
P 0.493 -0.331 -1.552 -1.9 0.3 -2.8
I -3.766 -0.016 0.369 1.1 0.3 -0.1
H 1.118 -1.858 0.869 1.5 -0.6 0.2
H 2.728 -1.174 0.137 -0.2 -0.4 -0.2
H 1.974 -0.471 1.539 0.9 0.4 2.2
H -0.031 1.533 0.508 -2.0 1.3 -1.1
H -1.260 1.881 -0.977 0.5 -0.2 1.5
H -1.736 2.394 0.675 -0.1 -0.2 0.4
H 1.540 -1.031 -1.979 1.7 -1.4 -0.8
H 1.054 0.836 -1.999 0.4 1.1 -0.9
```
Forces are in eV/Å.

## Properties
LUMO (alpha / beta) ... -1.94 / -1.94 eV
Total energy ... -25653.06371 eV
Net charge ... 0
Kohn-Sham gap (alpha / beta) ... 5.989 / 5.993 eV
ΔE to the lowest compared entry with this formula, charge and spin ... 3.0404 eV

These are the natural (NBO) partial charges, in e, on atoms 1 to 2: atom 1 (C): 0.831, atom 2 (C): -0.440

***

# CH5OS

A cluster of 2 separate species, CH5OS in total at a distorted geometry (wB97M-V/def2-TZVPD, OMol25).

Geometry as XYZ:
```
8
Properties=species:S:1:pos:R:3:forces:R:3
O 2.498 -0.204 -0.057 -2.2 -2.3 -0.9
H 1.524 0.010 0.266 1.5 -0.4 -0.5
C -1.329 0.242 -1.012 -1.9 -2.0 -0.3
S -0.690 0.043 0.675 1.3 0.1 0.2
H -0.853 -0.051 -1.996 0.5 0.7 1.3
H -2.119 -0.569 -0.942 0.2 1.1 -0.6
H -1.834 1.203 -1.067 0.0 0.1 -0.5
H 2.313 -1.102 -0.543 0.5 2.6 1.4
```
Forces are in eV/Å.

## Properties
LUMO ... 4.46 eV
Total energy ... -14001.22800 eV
Net charge ... -1
Kohn-Sham gap ... 6.919 eV
ΔE to the lowest compared entry with this formula, charge and spin ... 0.5776 eV

These are the natural (NBO) partial charges, in e, on atoms 1 to 2: atom 1 (O): -1.027, atom 2 (H): 0.499

***

# C23H35CoN10S

A structure of composition C23H35CoN10S at a distorted geometry (wB97M-V/def2-TZVPD, OMol25).

Geometry as XYZ:
```
70
Properties=species:S:1:pos:R:3:forces:R:3
Co -0.310 1.096 -0.501 -0.5 1.1 -0.4
N -0.638 3.113 -0.336 0.3 -0.1 0.5
C 0.359 4.142 0.056 0.4 -0.2 0.1
C 1.191 3.804 1.325 -0.4 -0.3 -0.1
N 1.554 2.393 1.538 0.1 0.2 0.0
C 2.968 2.155 1.216 -0.2 0.0 -0.1
C 3.332 2.474 -0.233 -0.1 -0.1 0.3
N 2.350 1.893 -1.152 -0.3 0.0 -0.3
C 1.340 2.008 2.945 -0.1 0.1 -0.1
C -0.128 1.937 3.339 0.2 0.0 -0.1
N -0.800 1.015 2.437 -0.4 -0.1 -0.3
H -1.185 3.461 -1.118 -0.1 0.0 0.1
H -1.299 3.018 0.433 -0.1 0.0 -0.1
H -0.159 5.084 0.254 0.1 0.0 -0.1
H 1.026 4.312 -0.790 0.0 0.0 -0.1
H 0.611 4.143 2.182 0.0 0.0 0.0
H 2.102 4.411 1.304 -0.1 0.2 0.0
H 3.170 1.101 1.402 0.0 -0.1 0.0
H 3.618 2.749 1.876 0.1 0.0 0.0
H 4.325 2.060 -0.416 0.0 0.1 0.0
H 3.410 3.554 -0.377 0.0 0.0 0.0
H 2.793 1.270 -1.816 0.0 0.1 0.0
H 1.912 2.613 -1.708 0.0 0.0 -0.1
H 1.861 2.699 3.622 0.1 -0.1 0.0
H 1.774 1.014 3.080 0.1 0.0 0.0
H -0.605 2.916 3.267 0.0 0.0 0.0
H -0.195 1.631 4.389 0.1 0.1 0.0
H -1.808 1.088 2.519 0.0 -0.1 0.0
H -0.551 0.064 2.690 0.0 -0.1 -0.1
S -2.649 0.944 -0.909 0.9 0.1 0.7
C -2.611 -0.749 -0.492 0.0 1.4 0.0
N -3.736 -1.414 -0.633 -0.1 -0.7 -0.3
N -3.846 -2.685 -0.283 -0.1 0.2 -0.4
C -3.372 -3.388 0.821 0.4 -0.4 0.6
C -2.784 -2.772 1.929 -0.2 0.1 -0.1
C -2.405 -3.530 3.021 -0.1 0.0 0.0
C -2.593 -4.905 3.033 0.0 -0.1 -0.1
C -3.183 -5.520 1.937 0.0 0.0 0.2
C -3.573 -4.772 0.842 0.0 0.3 -0.2
N -1.467 -1.380 -0.203 0.2 -1.0 0.2
N -0.345 -0.766 -0.217 -0.8 -0.4 -0.3
C 0.732 -1.676 -0.158 0.8 -0.8 0.3
C 0.557 -2.990 0.305 -0.2 0.3 0.0
C 1.601 -3.893 0.246 0.0 -0.1 0.0
C 2.843 -3.515 -0.248 0.0 0.1 0.0
C 3.029 -2.212 -0.685 0.1 -0.1 0.0
C 1.987 -1.304 -0.640 -0.4 0.2 0.0
H -4.511 -3.175 -0.863 -0.3 0.1 0.2
H -2.665 -1.698 1.943 0.0 0.0 0.0
H -1.973 -3.043 3.886 0.0 0.0 0.0
H -2.294 -5.492 3.890 0.0 0.0 0.0
H -3.355 -6.587 1.942 0.0 0.0 0.0
H -4.041 -5.258 -0.006 0.0 0.0 0.0
H -0.404 -3.293 0.695 0.0 0.0 0.0
H 1.432 -4.911 0.567 0.0 0.0 0.1
H 3.651 -4.231 -0.303 0.0 0.0 0.0

[Done]
H -0.031 1.533 0.508 -2.0 1.3 -1.1
H -1.260 1.881 -0.977 0.5 -0.2 1.5
H -1.736 2.394 0.675 -0.1 -0.2 0.4
H 1.540 -1.031 -1.979 1.7 -1.4 -0.8
H 1.054 0.836 -1.999 0.4 1.1 -0.9
```
Forces are in eV/Å.

## Properties
LUMO (alpha / beta) ... -1.94 / -1.94 eV
Total energy ... -25653.06371 eV
Net charge ... 0
Kohn-Sham gap (alpha / beta) ... 5.989 / 5.993 eV
ΔE to the lowest compared entry with this formula, charge and spin ... 3.0404 eV

These are the natural (NBO) partial charges, in e, on atoms 1 to 2: atom 1 (C): 0.831, atom 2 (C): -0.440

***

# CH5OS

A cluster of 2 separate species, CH5OS in total at a distorted geometry (wB97M-V/def2-TZVPD, OMol25).

Geometry as XYZ:
```
8
Properties=species:S:1:pos:R:3:forces:R:3
O 2.498 -0.204 -0.057 -2.2 -2.3 -0.9
H 1.524 0.010 0.266 1.5 -0.4 -0.5
C -1.329 0.242 -1.012 -1.9 -2.0 -0.3
S -0.690 0.043 0.675 1.3 0.1 0.2
H -0.853 -0.051 -1.996 0.5 0.7 1.3
H -2.119 -0.569 -0.942 0.2 1.1 -0.6
H -1.834 1.203 -1.067 0.0 0.1 -0.5
H 2.313 -1.102 -0.543 0.5 2.6 1.4
```
Forces are in eV/Å.

## Properties
LUMO ... 4.46 eV
Total energy ... -14001.22800 eV
Net charge ... -1
Kohn-Sham gap ... 6.919 eV
ΔE to the lowest compared entry with this formula, charge and spin ... 0.5776 eV

These are the natural (NBO) partial charges, in e, on atoms 1 to 2: atom 1 (O): -1.027, atom 2 (H): 0.499

***

# C23H35CoN10S

A structure of composition C23H35CoN10S at a distorted geometry (wB97M-V/def2-TZVPD, OMol25).

Geometry as XYZ:
```
70
Properties=species:S:1:pos:R:3:forces:R:3
Co -0.310 1.096 -0.501 -0.5 1.1 -0.4
N -0.638 3.113 -0.336 0.3 -0.1 0.5
C 0.359 4.142 0.056 0.4 -0.2 0.1
C 1.191 3.804 1.325 -0.4 -0.3 -0.1
N 1.554 2.393 1.538 0.1 0.2 0.0
C 2.968 2.155 1.216 -0.2 0.0 -0.1
C 3.332 2.474 -0.233 -0.1 -0.1 0.3
N 2.350 1.893 -1.152 -0.3 0.0 -0.3
C 1.340 2.008 2.945 -0.1 0.1 -0.1
C -0.128 1.937 3.339 0.2 0.0 -0.1
N -0.800 1.015 2.437 -0.4 -0.1 -0.3
H -1.185 3.461 -1.118 -0.1 0.0 0.1
H -1.299 3.018 0.433 -0.1 0.0 -0.1
H -0.159 5.084 0.254 0.1 0.0 -0.1
H 1.026 4.312 -0.790 0.0 0.0 -0.1
H 0.611 4.143 2.182 0.0 0.0 0.0
H 2.102 4.411 1.304 -0.1 0.2 0.0
H 3.170 1.101 1.402 0.0 -0.1 0.0
H 3.618 2.749 1.876 0.1 0.0 0.0
H 4.325 2.060 -0.416 0.0 0.1 0.0
H 3.410 3.554 -0.377 0.0 0.0 0.0
H 2.793 1.270 -1.816 0.0 0.1 0.0
H 1.912 2.613 -1.708 0.0 0.0 -0.1
H 1.861 2.699 3.622 0.1 -0.1 0.0
H 1.774 1.014 3.080 0.1 0.0 0.0